Hg4PAuCl2: calculated powder X-ray diffraction pattern (Cu Ka), based on a DFT-relaxed cell (GGA-PBE, Alexandria).
Lines closer than 0.1° are merged.

Cell and atoms:
a b c (Å): 7.832 8.058 12.906
angles (deg): 90.00 90.00 90.00
Space group Imma (No. 74)
Unique sites:
Hg: 0.000 0.009 0.211 (multiplicity 8)
Hg: 0.230 0.250 0.015 (multiplicity 8)
P: 0.000 0.000 0.000 (multiplicity 4)
Au: 0.250 0.250 0.250 (multiplicity 4)
Cl: 0.000 0.000 0.500 (multiplicity 4)
Cl: 0.250 0.250 0.750 (multiplicity 4)

Main lines, low angle first (10 to 90 degrees two-theta):
| Position (°2θ) | d_spacing | I/Imax |
| --- | --- | --- |
| 12.95 | 6.835 | 32 |
| 26.07 | 3.418 | 27 |
| 26.63 | 3.348 | 24 |
| 27.65 | 3.226 | 49 |
| 31.87 | 2.808 | 100 |
| 42.69 | 2.118 | 59 |
| 45.00 | 2.015 | 20 |
| 46.38 | 1.958 | 17 |

~~~~~

(1)
Diffraction record for SrIn2Se2. The XRD peak list is simulated, not measured: it uses a crystal structure in Alexandria, relaxed with PBE and Cu Kα (weighted mean of Kα1 and Kα2).

Most intense lines, 10° ≤ 2θ ≤ 90°, in order of falling intensity:
2θ 31.98, intensity 1000
2θ 32.76, intensity 798
2θ 46.44, intensity 591
2θ 45.86, intensity 360
2θ 29.51, intensity 302
2θ 22.47, intensity 275
2θ 63.92, intensity 228
2θ 82.18, intensity 226
2θ 44.86, intensity 208
2θ 67.32, intensity 189

Structural model:
Cell: 6.144 6.144 6.144 Å, 125.81 125.81 80.21°
Fractional positions:
Sr1 0.000 0.000 0.000
In1 0.347 0.347 0.000
In2 0.653 0.653 0.000
Se1 0.250 0.750 0.500
Se2 0.750 0.250 0.500



(2)
Diffraction record for Sr2UInSe5. The XRD peak list is simulated, not measured: it uses a crystal structure in Alexandria, relaxed with PBE and Cu Kα (weighted mean of Kα1 and Kα2).

Most intense lines, 10° ≤ 2θ ≤ 90°, in order of falling intensity:
2θ 29.58, intensity 1000
2θ 30.16, intensity 617
2θ 42.33, intensity 426
2θ 35.10, intensity 351
2θ 42.93, intensity 289
2θ 52.86, intensity 255
2θ 13.44, intensity 225
2θ 22.44, intensity 223
2θ 37.52, intensity 179
2θ 49.43, intensity 176

Structural model:
Cell: 9.369 9.369 13.181 Å, 90.01 90.01 26.34°
Fractional positions:
Sr1 0.000 0.000 0.000
Sr2 0.022 0.022 0.378
Sr3 0.249 0.249 0.878
Sr4 0.271 0.271 0.500
U1 0.346 0.346 0.204
U2 0.925 0.925 0.704
In1 0.607 0.607 0.645
In2 0.665 0.665 0.145
Se1 0.083 0.083 0.757
Se2 0.189 0.189 0.258
Se3 0.422 0.422 0.853
Se4 0.450 0.450 0.556
Se5 0.503 0.503 0.192
Se6 0.629 0.629 0.956
Se7 0.643 0.643 0.456
Se8 0.768 0.768 0.692
Se9 0.822 0.822 0.056
Se10 0.850 0.850 0.353



(3)
Diffraction record for Ta2InSe. The XRD peak list is simulated, not measured: it uses a crystal structure in Alexandria, relaxed with PBE and Cu Kα (weighted mean of Kα1 and Kα2).

Most intense lines, 10° ≤ 2θ ≤ 90°, in order of falling intensity:
2θ 35.98, intensity 1000
2θ 40.58, intensity 397
2θ 10.78, intensity 295
2θ 70.83, intensity 276
2θ 61.48, intensity 161
2θ 58.73, intensity 134
2θ 44.12, intensity 108
2θ 43.86, intensity 88
2θ 76.29, intensity 86
2θ 30.44, intensity 72

Structural model:
Cell: 3.144 3.144 8.211 Å, 90.00 90.00 90.00°
Fractional positions:
Ta1 0.000 0.000 0.000
Ta2 0.500 0.500 0.253
In1 0.000 0.000 0.503
Se1 0.500 0.500 0.825



(4)
Diffraction record for Ta2InSe6. The XRD peak list is simulated, not measured: it uses a crystal structure in Alexandria, relaxed with PBE and Cu Kα (weighted mean of Kα1 and Kα2).

Most intense lines, 10° ≤ 2θ ≤ 90°, in order of falling intensity:
2θ 30.78, intensity 1000
2θ 39.60, intensity 956
2θ 13.97, intensity 505
2θ 21.04, intensity 484
2θ 48.22, intensity 433
2θ 51.49, intensity 272
2θ 78.89, intensity 260
2θ 58.26, intensity 218
2θ 64.10, intensity 189
2θ 44.70, intensity 174

Structural model:
Cell: 11.323 11.323 6.340 Å, 90.00 90.00 120.00°
Fractional positions:
Ta1 0.000 0.347 0.000
Ta2 0.000 0.653 0.000
Ta3 0.347 0.000 0.000
Ta4 0.347 0.347 0.000
Ta5 0.653 0.000 0.000
Ta6 0.653 0.653 0.000
In1 0.000 0.000 0.000
In2 0.333 0.667 0.461
In3 0.667 0.333 0.539
Se1 0.093 0.546 0.744
Se2 0.123 0.245 0.772

Transcribe the entries further up from the first line to the one with "591" without altering anything, please.

Hg4PAuCl2: calculated powder X-ray diffraction pattern (Cu Ka), based on a DFT-relaxed cell (GGA-PBE, Alexandria).
Lines closer than 0.1° are merged.

Cell and atoms:
a b c (Å): 7.832 8.058 12.906
angles (deg): 90.00 90.00 90.00
Space group Imma (No. 74)
Unique sites:
Hg: 0.000 0.009 0.211 (multiplicity 8)
Hg: 0.230 0.250 0.015 (multiplicity 8)
P: 0.000 0.000 0.000 (multiplicity 4)
Au: 0.250 0.250 0.250 (multiplicity 4)
Cl: 0.000 0.000 0.500 (multiplicity 4)
Cl: 0.250 0.250 0.750 (multiplicity 4)

Main lines, low angle first (10 to 90 degrees two-theta):
| Position (°2θ) | d_spacing | I/Imax |
| --- | --- | --- |
| 12.95 | 6.835 | 32 |
| 26.07 | 3.418 | 27 |
| 26.63 | 3.348 | 24 |
| 27.65 | 3.226 | 49 |
| 31.87 | 2.808 | 100 |
| 42.69 | 2.118 | 59 |
| 45.00 | 2.015 | 20 |
| 46.38 | 1.958 | 17 |

~~~~~

(1)
Diffraction record for SrIn2Se2. The XRD peak list is simulated, not measured: it uses a crystal structure in Alexandria, relaxed with PBE and Cu Kα (weighted mean of Kα1 and Kα2).

Most intense lines, 10° ≤ 2θ ≤ 90°, in order of falling intensity:
2θ 31.98, intensity 1000
2θ 32.76, intensity 798
2θ 46.44, intensity 591